Without ACORN’s ground troops, local Democrats Resort to Questionable Voter Outreach Schemes

October 7, 2010
With less than thirty days left before the critical mid-term elections, Democrats may find themselves wishing that they had done a better job of controlling the media and deflecting attention from their desperate campaign tactics. With ACORN “dissolved” and no longer openly working as an unofficial arm of the Democrats, their candidates are left to do the dirty work.
Last month the New York Post broke a story about a local Brooklyn politician who had resorted to harassing voters directly in order to intimidate them.
“Assemblyman Vito Lopez bullied and cajoled eight little old ladies during an arm-twisting session aimed at getting them to back his candidate in a Brooklyn judicial race, a shocking audiotape obtained by The Post reveals.
‘I’m not a fool or stupid, all right?’ the Democrat railed at the elderly community leaders. ‘I can’t always give and get smacked, give and get smacked . . . I am the political leader.’
The May 2005 conversation, captured on a hidden recorder, not only exposes the 69-year-old Lopez’s heavy-handed tactics in dealing with his core elderly supporters but also offers a rare glimpse into the backrooms of bare-knuckle Brooklyn politics where Lopez reigns. “
According to Wikipedia:
“Voter intimidation involves putting undue pressure on a voter or group of voters so that they will vote a particular way, or not at all”
Wikipedia also defines voter intimidation as a form of electoral fraud or voter fraud. Though Democrats and a host of groups, including ACORN’s Project Vote, will insist that voter fraud does not exist, and is a product of an attempt to silence voters. However, as ACORN’s “ground troops” are no longer available, it appears that desperate times have Democrats openly engaging in suspicious election activity.
Lopez plumbed the depths of corruption by hiring addicts (sound familiar?) to organize Get-Out-The-Vote for his campaign.
“Dozens of addicts living at a Brooklyn rehab facility funded by Assemblyman Vito Lopez clocked 16-hour shifts door-knocking, passing out fliers and singing songs of praise to help the embattled lawmaker get re-elected as district leader last month, sources told The Post.
‘They had them work from 5 a.m. until 9 p.m. passing out fliers and going door to door’ on Primary Day, Sept. 14, said Alejandro Hermida, recently discharged from the Williamsburg facility, El Regreso.
Diana Torres, who was campaigning outside PS 50 for her boyfriend — Lopez’s opponent Esteban Duran — said: ‘It was a spectacle. At one point, they had drums. They were singing. It was loud.’
‘We saw people from their campaign bringing them cigarettes, telling them to be loud and rowdy,’ Torres said. “They were chain-smoking, very jittery, aggressive people.’
• What comes next are molecular data, not part of the piece:
********
# 1
ORCA calculation (ωB97M-V/def2-TZVPD) on 3 unconnected molecules or ions with the total composition C19H40N7O10.

F_max	1.0	eV/Å
E_tot	-51241.919	eV

Geometry as ORCA input:
```
! RIJCOSX wB97M-V def2-TZVPD def2/J DEFGRID3
* xyz 1 1
O -4.645 2.967 -0.713
O 4.851 2.616 0.231
O 0.932 -2.831 -0.810
O -6.398 -2.795 1.725
O 2.061 0.946 -2.525
O -3.114 -2.895 0.635
O -4.581 -5.249 1.878
O 5.776 3.802 2.881
O -0.005 -0.901 -1.027
O 6.557 0.700 1.888
N -2.620 2.259 -1.698
N -2.752 0.121 -1.099
N 1.255 -1.746 -0.940
N -3.857 0.772 -0.625
N -4.450 3.880 1.567
N -0.844 0.824 -2.334
N 0.376 1.303 -5.818
C 6.373 5.075 3.004
C -7.728 -2.838 1.254
C 1.271 1.666 -3.457
C -2.009 1.051 -1.755
C 6.694 0.994 0.511
C -0.116 1.985 -2.911
C -4.541 3.457 0.511
C 6.256 2.405 0.200
C -3.708 2.037 -1.013
C -6.174 -3.636 2.849
C 4.196 2.617 1.490
C 4.468 3.829 2.352
C 1.355 0.936 -4.816
C -4.492 -4.891 0.516
C -0.404 -0.552 -2.333
C -4.784 -4.226 2.838
C 6.212 -0.639 2.155
C -3.194 -4.221 0.126
C -1.807 -2.503 1.005
H -7.750 -2.333 0.289
H -4.531 -5.837 -0.028
H -5.348 -4.291 0.198
H 6.111 0.288 -0.094
H -0.730 2.443 -3.687
H -4.642 -4.720 3.801
H -1.271 -1.182 -2.573
H -0.018 2.719 -2.107
H 5.940 -0.701 3.207
H 7.428 4.919 3.220
H -8.068 -3.869 1.113
H 6.780 3.123 0.833
H -4.030 -3.440 2.756
H 2.343 1.187 -5.213
H 0.220 2.298 -5.893
H 4.393 1.697 2.044
H 6.287 5.646 2.072
H 1.722 2.652 -3.636
H 3.129 2.635 1.248
H -6.284 -3.041 3.765
H -3.140 -4.191 -0.971
H 3.745 3.826 3.180
H -4.597 0.350 -0.080
H -0.501 0.807 -5.751
H -1.316 -3.253 1.633
H 5.354 -0.958 1.550
H 1.368 -0.145 -4.678
H -8.416 -2.326 1.935
H 6.542 2.607 -0.835
H -1.201 -2.318 0.118
H -2.352 -4.818 0.494
H 7.051 -1.319 1.968
H 7.751 0.899 0.228
H 0.364 -0.735 -3.077
H -1.897 -1.579 1.577
H 2.415 1.562 -1.871
H 4.308 4.738 1.761
H -2.584 -0.863 -0.931
H -6.910 -4.446 2.872
H 5.926 5.653 3.820
*
```

=====

# 2
ORCA calculation (ωB97M-V/def2-TZVPD) on 18 unconnected molecules or ions with the total composition C9H52NO18 in a non-equilibrium geometry.

F_max	6.2	eV/Å
E_tot	-48518.274	eV

Geometry as ORCA input:
```
! RIJCOSX wB97M-V def2-TZVPD def2/J DEFGRID3
* xyz 0 2
O -3.489 3.855 -0.134
O -1.694 5.386 2.188
O -6.150 12.801 0.270
O -3.392 13.235 2.348
O -1.468 8.457 5.568
O -9.023 5.482 0.861
O -3.687 6.933 -0.398
O -7.707 10.988 3.978
O -7.907 6.843 -1.145
O 2.108 11.381 1.999
O -9.182 7.833 2.850
O -8.460 11.728 1.356
O -5.822 6.987 5.612
O -0.740 13.241 0.808
O -2.944 7.413 -3.224
O -4.932 9.179 -2.268
O 1.209 10.941 -1.296
O -7.735 5.072 3.996
N -3.395 7.836 0.734
C -1.644 9.136 2.035
C -2.836 9.705 2.812
C -5.433 6.900 2.009
C -5.609 9.070 1.004
C -4.604 8.159 1.629
C -2.583 10.083 -0.211
C -4.044 8.753 2.947
C -2.161 8.740 0.600
C -0.828 8.213 -0.108
H -1.765 10.777 -0.405
H -5.621 6.084 5.367
H -0.164 9.065 -0.255
H 2.337 11.088 2.880
H -2.893 9.723 -1.192
H -1.240 8.363 2.689
H -5.278 12.851 -0.122
H -5.292 8.416 -1.816
H -1.373 8.869 4.709
H -1.051 7.885 -1.124
H 1.187 11.141 1.897
********
Lopez and Pagan did not respond to requests for comment.
Lopez won by a landslide, 74 to 26 percent.”
Workers being paid in cigarettes? Recovering drug addicts given cash under the table? These are not just ACORN tactics, they are the tactics of what appears to be a party hijacked by radicals. Vote-buying is also considered a form of voter fraud. It is unclear if any of these “workers” were eligible to vote or if they did. It is also unclear if they urged others to vote for Lopez with incentives like the ones they received. While such blatant actions should be denounced, the complicit media complex is still mourning the death of their beloved ACORN.
One such article pushes the idea of the “myth” of voter fraud :
“One of the tactics Republicans favor for deflecting attention from their voter suppression efforts is launching unmerited accusations of fraud on the part of pro-Democratic groups and individuals. For a glimpse of how this works, check out ‘Despite Dearth Of Evidence, Right Wing Voter Fraud Fear Machine Carries On’ by Ryan J. Reilly and Rachel Slajda at Talking Points Memo. The authors recount the smears against ACORN and the phony charge that the New Black Panthers were intimidating voters, and then explain how these incidents are being regurgitated in the latest fear-mongering campaign…
The fear-mongering about fraud and the attack against ACORN has worked depressingly well for Republicans. They succeeded in destroying one of the most successful organizations dedicated to registering poor and minority voters.”
Lopez, who has close ties to the ACORN backed Working Families Party, has also been engaged in suspicious ACORN-like housing fraud.
“A federal housing scandal that left thousands of New Yorkers living in ramshackle homes turned out to be a pot of gold for a not-for-profit group closely linked to powerful Assemblyman Vito Lopez, The Post has learned.”
Unfortunately for New York, Lopez is not only working to undermine the electoral system, but he has also silenced the voice of the people through judicial cronyism.
• Quantum chemistry results from another source follow:
____________
Entry from OMol25: an isolated molecule of C5H9N3 at a distorted geometry (the ωB97M-V functional and the def2-TZVPD basis).

Each line ends with the Löwdin charge.
Positions of all 17 atoms, in Å:
C  0.9969  2.2156  -1.5848  -0.013
N  0.4827  2.8791  -0.5498  -0.052
N  -0.0043  2.5217  0.6863  -0.022
C  -0.2463  1.2505  1.1379  -0.154
N  -0.2545  0.1960  0.3398  0.036
C  -0.6930  -0.9008  0.9556  -0.236
C  -0.4827  -2.2141  0.4975  -0.178
C  0.1093  -2.5648  -0.7676  -0.144
H  0.7641  1.1535  -1.7483  0.044
H  1.5615  2.9446  -2.1630  0.054
H  -0.0445  3.2758  1.3329  0.121
H  -0.4736  1.0579  2.1803  0.118
H  -1.2462  -0.7619  1.8878  0.093
H  -1.0563  -2.9020  1.0996  0.081
H  -0.5942  -3.2798  -1.3298  0.094
H  0.1333  -1.6716  -1.3928  0.058
H  1.0479  -3.1997  -0.5817  0.100

**Relative energy (zero: lowest compared OMol25 entry of this formula, charge and spin)**: 86.0 kcal/mol
**Total energy**: -9797.73548 eV
**HOMO**: -7.64 eV
**SMILES**: C=NN/C=N/C=C\C

---

Entry from OMol25: an isolated molecule of C11H14N2O at a distorted geometry (the ωB97M-V functional and the def2-TZVPD basis).

Each line ends with the Löwdin charge.
Positions of all 28 atoms, in Å:
C  1.5384  -2.6809  -0.1185  0.080
C  -0.9424  -2.6613  -0.3392  -0.086
C  0.9330  -0.5147  0.2202  0.011
C  -1.2943  -1.3781  -0.0768  -0.176
C  -0.7767  0.9882  -0.3479  -0.341
C  -2.7009  -1.1654  0.2778  -0.133
C  -2.2144  1.2667  0.3673  -0.018
C  -3.2043  0.2108  -0.2629  -0.127
C  3.1094  0.2636  1.0375  -0.082
C  2.6275  0.3566  -1.3800  -0.066
C  1.9996  0.5305  0.0133  -0.416
N  0.3904  -3.0275  -0.3589  -0.088
N  -0.3295  -0.3067  -0.0822  0.034
O  -0.1389  1.8115  -0.9296  0.125
H  -1.5643  -3.5651  -0.2283  0.128
H  -3.3680  -1.9158  -0.1293  0.125
H  -2.7387  -1.1948  1.2950  0.094
H  -2.0460  1.1224  1.4423  0.125
H  -2.4857  2.2465  0.2565  0.072
H  -3.4119  0.1952  -1.2745  0.093
H  -4.1633  0.3752  0.0672  0.076
H  3.7150  1.1397  1.0315  0.065
H  3.7786  -0.4545  0.6995  0.050
H  2.8545  0.0969  2.0765  0.079
H  3.2859  1.1919  -1.4293  0.063
H  1.8067  0.7577  -2.0829  0.095
H  3.0189  -0.6147  -1.8088  0.103
H  1.6599  1.5560  0.1187  0.115

**Relative energy (zero: lowest compared OMol25 entry of this formula, charge and spin)**: 163.5 kcal/mol
**Total energy**: -16655.82095 eV
**HOMO**: -7.48 eV

---

Entry from OMol25: a structure of composition C16H43AlN3O4Si at a distorted geometry (the ωB97M-V functional and the def2-TZVPD basis).

Each line ends with the Löwdin charge.
Positions of all 68 atoms, in Å:
C  -1.5365  1.4184  3.8096  -0.292
Si  -2.3768  1.4866  2.0362  0.403
C  -1.6709  2.8874  0.9199  -0.296
C  -4.2898  1.6574  2.4012  -0.303
Al  -2.0632  -0.6041  1.0392  0.134
O  -0.7748  -1.6434  1.9444  -0.321
C  0.2902  -1.9891  0.9462  -0.227
C  -0.4344  -2.0381  -0.5230  -0.348
C  -1.5157  -3.2187  -0.8785  -0.162
C  -1.1823  -4.6868  -0.2296  -0.202
C  -1.5161  -4.8365  1.3678  -0.305
N  -2.8815  -4.3417  1.7902  -0.054
____________
In a city brimming with talented lawyers with sterling résumés, the word is that Brooklyn Democratic boss Vito Lopez is set this week to deliver a Supreme Court judgeship to an attorney whose chief qualifications include being the brother of Lopez’s girlfriend. The fix, as they say, is in.
This gross exercise in cronyism is calendared for Friday at the party’s judicial nominating convention, a rigged affair that will blatantly violate the constitutional rights of the borough’s voters. The federal courts have so ruled, but Lopez is proceeding smarmily apace, party insiders say.
And the bosses will violate the constitutional rights of the voters with every judge they make, screened or not. And all those judges will knowingly take their seats in violation of the Constitution. And the worst of the bunch, Lopez and Battaglia, will long stand as symbols of shamelessness – if, that is, they hold to form.
Lopez is an example of the systemic corruption that has been allowed to run rampant on the local level. Instead of working to protect our electoral system, certain groups and media outlets would rather raise the tried and true racial issue. By working in poor minority communities, these groups hope that you will look the other way while granny is intimidated and those same poor people are used as political pawns.
Acorn, is a illegal groups of thugs and liars consisting of anti american communist/liberal/athesist/ freedom hating/ anti white war loving( as long as the war is on our soil) not as good as the worst dog, ive ever seen. yet we did not put them in jail and call the election null and void for it was tampered with. we talk about other countries tampering with elections yet this country is one of the worst for pot callin the kettle black. wait till next month folks!
Acorn is not that dead, they have split off into groups, believed to be 10, who got the $15 Billion in the health care bill, if the democrats win elections this year, with the public knowing of all of this, could this be the end of how we elect people, there will be a lot of backlash, and possible physical fights. Folks were sold a bunch of lies and they are angry and when they realize all of this money has gone to Acorn people by another name, they will be as outraged as they were when none of those caught in the act of voter fraud were ever tried. I hope after this election, we, the people, will have the power to demand the arrest of all of those who took bribes, voted at midnight on a bill taking indivudual rights away from us and giving them to themselves. All of them should be tried for violation of the RICO ACT, they acted as organized crime and should be charged with it, the speaker of the house should be tried first, or put them all together, it treason would stick, they all could be hung in Washington, they deserve nothing less for the acts committed against the people of the United States. I have been wondering who is behind all of this, and George Soros comes to mind also, with the list of vistors to the White House being secret for the first time I know of in history, who is running this nation?
I am not surprised by this. I am just glad that now we can really see what our “elected officials” are like. What really goes on. Now what we do with this information is something different. Are we going to keep putting the same kind of people in office or are we going to really do the homework that is needed to pick the right people. We need to stand up and tell these liars and thieves that we are not going to take it anymore. What kind of person would vote and pass a bill they have not even read. Shame Shame Shame, Nancy Pelosi. And Shame Shame Shame on you congress for following.
what a stupid bigoted racist message above a typical guy who knows nothing about anything, acorn has been around republicans, mccain before elections attended acorn events